The very essence of being a survivalist, or “prepper,” for those born after the 1980s, is the ability to adapt to a situation, handle one extreme to another and also be flexible with each new scenario.
While being a survivalist does entail storing almost everything to be prepared for situations such as food shortages, power outages, droughts, viral outbreaks and economic calamities, it goes beyond that. It’s also about the capacity to make the most of what you have and to make use of what you find.
Ruger’s new Redhawk has a 4.2-inch barrel and a round butt frame, rather than the typical square butt of its other Redhawk models. The rounded butt was to make the gun more concealable and to improve the handling characteristics a bit.
And it only got better from there.
Not only was the new Redhawk chambered for .45 Long Colt, it was also set up to fire .45 Auto rounds, as well, with full-moon clips, three of which are provided with the Redhawk. That one little extra really added a whole new dimension to the introduction of the new Redhawk, and, in my mind, elevated its importance as a key firearm to have in a prepper’s collection.

# Unrelated to this page: molecular data
~~~
Entry 1:
{
  "formula": "C34H37F8N6O2SY",
  "method": "wB97M-V/def2-TZVPD",
  "symbols": ["Y", "C", "N", "C", "C", "C", "N", "C", "C", "F", "C", "F", "C", "C", "F", "C", "F", "H", "H", "H", "H", "H", "H", "H", "H", "H", "H", "H", "C", "C", "N", "C", "C", "C", "C", "N", "C", "C", "F", "C", "F", "C", "C", "F", "C", "F", "H", "H", "H", "H", "H", "H", "H", "H", "H", "H", "H", "H", "H", "H", "H", "C", "C", "C", "C", "C", "C", "C", "S", "O", "O", "N", "C", "C", "C", "C", "C", "N", "H", "H", "H", "H", "H", "H", "H", "H", "H", "H", "H"],
~~~

Virtue Of Versatility
The .45 Long Colt round, itself, is one of the most versatile handgun cartridges on the market. There are loads in the 160-200 grain range that can be used for small game or target practice; 200 to 225 grains for self-defense; 250 to 260 grains for hunting game such as deer; and you can even choose bear-stoppers in the 300-to 325-grain spectrum.
Now, couple the versatility of the .45 LC round with the new Redhawk’s ability to also fire .45 ACP and .45 Super. That’s a tremendous range of power, but it’s also a broad gamut of opportunity: In a real-world survival situation, ammunition may be in short supply, and it would certainly be useful to have a gun on hand that fires multiple calibers.
While the .45 LC used to be a very popular round in its day, it’s nowhere near as common as it used to be. The .45 ACP round, however, is one of the most common handgun rounds you’ll come across in this country. With three available caliber options, whether you’re bartering or scavenging, you’ve got a good chance of finding rounds meant for serious work that will fire in the Redhawk.

Inserted here: molecular data.
┌──
Entry 1:
ORCA calculation (the ωB97M-V functional and the def2-TZVPD basis) on a cluster of 2 separate species, C2H5NO4PS in total at a distorted geometry.

```
14
Properties=species:S:1:pos:R:3:forces:R:3
C 0.4283 -0.9381 0.7736 -2.1 -0.1 -1.9
C -0.1592 -0.8764 -0.6369 -2.8 -3.1 0.1
N -0.3388 -0.8009 1.8672 -2.1 1.4 1.7
O -1.9706 1.7308 -1.3524 0.2 -1.1 -0.2
O 1.5906 -1.1745 0.8419 3.1 -0.4 0.7
O -0.2434 3.9386 -0.8940 0.7 0.8 -1.2
O -1.0514 3.5369 0.1828 0.1 -0.9 1.4
P -1.6722 2.1290 0.0179 -1.3 1.9 0.0
S -2.5096 1.5757 1.6712 -0.2 -0.2 0.0
H -0.2778 0.0885 -1.0147 0.2 1.6 -0.6
H -1.2220 -1.3722 -0.8236 1.8 1.1 1.1
H -1.3071 -0.2992 1.8776 2.4 -1.1 -0.5
H 0.2391 -0.5764 2.6908 -0.6 -0.3 -0.6
H 0.4263 -1.5131 -1.2911 0.6 0.4 0.1
```
Positions in Å, forces in eV/Å.

E: -31958.9789 eV
total charge: -1
gap between HOMO and LUMO (alpha / beta): 0.25354 / 0.25350 Ha
energy above the lowest of the compared OMol25 structures with the same formula, charge and spin: 2.0049 eV
spin multiplicity: 1

Want to see where the charge sits? The Löwdin charges in e are: C -0.66; C -0.03; N 0.10; O -0.35; O 0.04; O -0.37; O -0.46; P 0.19; S 0.26; H 0.01; H 0.12; H -0.02; H 0.11; H 0.07

Entry 2:
ORCA calculation (the ωB97M-V functional and the def2-TZVPD basis) on a structure of composition C33H29HoN2O3 at a distorted geometry.

```
68
Properties=species:S:1:pos:R:3:forces:R:3
C -0.7636 0.8774 0.9212 0.3 0.5 0.6
C 0.6417 0.9520 1.1844 -0.6 0.6 0.4
C 1.0698 2.2792 0.8869 -0.9 0.0 0.2
H 1.2066 0.1920 1.7194 -0.2 0.0 -0.4
C -0.0719 3.0163 0.4216 0.1 -0.2 0.6
C -1.2077 2.1435 0.4438 0.6 0.1 0.7
H -2.2472 2.4268 0.2946 0.3 -0.1 -0.2
H -1.3875 0.0429 1.2136 0.2 0.0 -0.4
H 2.0434 2.6945 1.1344 -0.1 -0.1 -0.3
H -0.0958 4.0894 0.2629 0.0 -0.2 -0.3
C 1.0301 -0.6041 -2.9935 -1.1 0.0 -0.1
C 0.3321 -1.2012 -1.9016 -0.5 -0.2 -0.9
C -1.0310 -0.7564 -1.9368 0.4 -0.3 -0.6
H 0.7023 -1.9814 -1.2567 0.0 0.2 0.1
C -1.1680 0.1566 -3.0210 0.6 -0.7 -0.2
C 0.1043 0.2509 -3.6804 -0.2 -0.5 0.2
H 0.2678 0.7258 -4.6422 0.1 0.2 0.3
H 2.0105 -0.9099 -3.3492 -0.1 0.4 0.2
H -1.8515 -1.1723 -1.3602 0.4 0.2 0.2
H -2.1102 0.5620 -3.3796 0.3 0.1 0.1
Ho 0.3574 1.2159 -1.3039 0.7 0.6 -0.7
O 1.7302 3.9931 -2.8212 0.8 1.4 0.0
C 3.0135 4.4369 -2.3033 -1.0 0.8 -0.3
C 2.0450 5.4690 -2.8312 0.5 -1.7 1.2
H 3.1096 4.3506 -1.2099 0.1 -0.1 -0.6
H 3.8974 4.2205 -2.9220 -0.5 -0.1 0.3
H 1.5003 6.0338 -2.0572 0.1 -0.4 -0.5
H 2.0154 8.1376 -3.2928 -0.1 0.0 -0.2
C 2.2566 7.5743 -4.1912 0.0 -1.0 0.0
C 2.2933 6.1531 -4.1186 0.3 0.7 -1.2
C 2.6748 5.4447 -5.2779 -0.2 0.1 0.3
H 2.7562 4.3502 -5.2457 -0.2 0.5 0.0
C 2.9521 6.1227 -6.4686 0.0 0.3 0.1
H 3.2217 5.5540 -7.3596 -0.1 0.1 0.3
C 2.9011 7.5230 -6.5296 -0.1 -0.3 0.3
H 3.1316 8.0454 -7.4636 -0.1 -0.2 0.4
C 2.5620 8.2423 -5.3778 0.1 -0.3 -0.1
H 2.5429 9.3296 -5.4062 0.0 -0.2 0.0
O -1.1029 -3.6866 -0.9233 0.4 0.3 0.6
C -0.8695 -3.4192 0.2522 0.0 0.1 1.1
N -1.0543 -4.3235 1.3053 -0.2 -0.2 -1.6
C -1.1030 -3.6228 2.5484 -0.5 0.0 0.7
C -0.4811 -2.2829 2.1506 0.2 0.3 -0.5
└──
The molecular data stop here.

To The Firing Line
I took two days trying out different loads in the Redhawk. The amount of testing involved took longer, simply because of the number of different calibers and loads I fired and because I was very deliberate in testing the premium ammunition that was available. Buffalo Bore was kind enough to provide several types of ammunition to use for the Redhawk review. In fact, they were too kind: They provided different loads for .45 ACP, .45 Super and .45 Long Colt, as well. I figured out early on that this was going to take some time.
Anyone that has used Buffalo bullets before knows that these are premium cartridges and not cheap by any means. The average cost per round with the variety I had on hand was around $2.00—but it was so very worth it, when you consider the accuracy and performance.
With that in mind, and because I wasn’t using a Ransom Rest, I took my time testing the accuracy of the loads from a bench rest at 25 yards. I’m not getting any younger, and my eyes aren’t what they used to be, but the Ruger Redhawk still shined with several of the Buffalo Bore loads.

incorporates a highly visible combination of adjustable white-outline rear sights and a ramp front sight with a red
The first box I tried out was the lead-free, .45 Colt +P 225-grain Barnes XPB load. Billed by Buffalo Bore as suitable for big game from deer to elk, this load packed a little recoil but was quite consistent and accurate, with no fliers to speak of. This allowed me to easily sight in the +P .225-grain Barnes XPB load by walking the rounds up until I was dead-on at 25 yards. I had it sighted in within six rounds, with the only real variance affecting POI being my eyesight.
What really helped with easily sighting-in the Redhawk was the high-contrast, “Immobilize” zones on Thompson Target’s Full Torso B27STOP target. It has a skeletal silhouette with high-contrast areas done in bright red with inner white circles to indicate key areas to immobilize a subject.
After trying seven different loads of a couple of rounds each, the winner for the best group at 25 yards was the Buffalo Bore 225-grain Low-Flash, Anti-Personnel wadcutters at standard pressure. This group came in at just a hair over one inch from center to center, which proves that once you find the right load, the Redhawk is capable of incredible accuracy. Some of the other loads weren’t anything to sneeze at either.

Because the 4.2-inch Redhawks are still fairly new to the market, there are not a lot of offerings to be had when it comes to holsters. However, I came across a beautiful specimen that meets my needs perfectly, especially when you consider the context of versatility. It’s Galco Gunleather’s Great Alaskan Shoulder System (GASS).
This holster is designed to bear the weight on one shoulder and has a cross-strap that runs behind the back and around to where it clips to the holster in front of the wearer’s body. This places the Redhawk in a cross-draw position about halfway up the torso. This is a perfect solution for the carriage of this type of handgun.
The wide shoulder strap is very comfortable and doesn’t place the same kind of strain on the shoulders or neck area as other shoulder systems sometimes do. It can be worn on the same shoulder where the gun is positioned, or you can wear the strap across the chest and over the opposite shoulder.
There are multiple adjustment points on the shoulder strap, leather back strap and the nylon strap that comes around to the front of the body, all of which allow the user to tailor a perfect fit with this holster. Though I mentioned the context of versatility in regard to this holster, that comment was meant for what this holster allows the user to do, rather than necessarily the holster, itself. For instance, during the summer time, the holster can be worn with lighter clothing without the need for a heavy belt and accompanying clothing. Throw on your shorts and T-shirt, and then slip on the G.A.S.S. You’ll be adequately armed while you stay nice and cool throughout the day.
The holster can also be adjusted to wear over winter clothing while you’re out hunting or foraging. And, for those who like to backpack or camp out, the G.A.S.S. places the Redhawk out of the way of hip straps or pads on packs and still allows for quick access to your firearm.
The Beast
Another accurate offering for the Redhawk was the hard-hitting Buffalo Bore 325-grain L.B.T.-L.F.N. round. This is the .45 LC round you take into grizzly country for protection. Because of the lack of cushioning with the thin wood grips, the shooter feels the recoil of all the various loads a bit more than with Ruger’s .45 LC Redhawk with Hogue grips; but the 325-grain load was something extra special, to put it mildly. Even so, it was still manageable and bearable for at least a few shots.
Admittedly, you certainly felt the jarring recoil of the 325-grain round, and, at about the fourth shot, your hands are stinging a bit. At round six, you’re definitely done for a while (at least I was), unless you’ve got a quality shooting glove. However, this round isn’t meant for plinking; it’s for a worst-case scenario in the wilderness to defend your life. With immediate danger facing you, and with the adrenalin pumping through your body, you’re not going to be worrying about the recoil.

Post-Range Impressions
Though I focused a lot on the .45 LC rounds, I shot plenty of the .45 Auto rounds, as well, including the 230-grain JHP .45 Super rounds, which turned in impressive results in the accuracy department, as well. The standard pressure, and even the +P variety of .45 ACP rounds, was downright pleasant to shoot within the massive platform of the Redhawk.
Everyone is already aware of the .45 ACP’s potency for self-defense. There’s no denying its stopping performance during the past century, and loading a full-moon clip of .45 ACPs can be nearly as quick as replacing a magazine. (Just ask Jerry Miculek—a.k.a. “The Greatest Shooter of All Time.”)
I’ve seen a bit of variance between reported trigger pulls for the new Redhawk, but I was perfectly satisfied with the sample I received. My trigger scale read 12.5 pounds for the double-action pull and 6.25 pounds for single action. The DA trigger pull was smooth and allowed for quick follow-up shots—essential for self-defense—while the SA pull, though a bit heavy, broke crisply for steadier control of the gun while firing.

The Ultimate Survival Handgun?
So, is this the perfect survival handgun? Nah; nothing’s perfect. It would have to be all things to all people in order to be perfect, but it comes pretty close. In the context of being in a preparedness mindset, the new Ruger .45 Auto/.45 Long Colt has a lot to argue for it.
It utilizes one of the most versatile cartridges on the market, and it accepts two other types of rounds, including .45 ACP, one of the most popular rounds across the country. In a TEOTWAWKI scenario, this would be a highly desirable firearm to have on hand for both its power and its range of caliber options. When it comes time to barter the market, you’ve got a decent shot at finding ammunition that will work for you.

However, that same versatility makes the new Redhawk a practical gun choice right now, as well. It can be loaded with lighter self-defense rounds for when you’re inside your home, and, during the summer months, a couple of chambers can be loaded with .45 Colt snake shot, just in case.
Using cheaper, .45 ACP ball ammunition, the Redhawk would be a great tool for plinking and for practicing various drills without busting the bank. And, when the autumn months come, you can step out onto your porch and smile as you smell winter in the air and head off for the mountains to do a little hunting.
The .45 Auto/.45 LC Ruger Redhawk, along with the Great Alaskan Shoulder Holster and Buffalo Bore’s top-tier ammunition, will be a powerful and versatile system at the tips of your fingers any time you choose to wear it. To realize its full potential, you don’t need to wait for the end of the world; you can just go find it.

Material: Stainless steel
Finish: Satin stainless
Front sight: ramp, red insert
Rear sight: adjustable, white outline
Barrel length: 4.2 inches
Overall length: 9.5 inches
Weight: 44 ounces
Grips: lasered hardwood
Twist: 1:16
Capacity: 6
Garrett Lucas has been an outdoors and preparedness enthusiast for 25 years. His areas of interest and expertise include firearms, edged tools, and preparedness gear and practices. He has written articles on these topics for more than eight years.
Editor’s note: A version of this article first appeared in the November 2015 print issue of American Survival Guide.